For me, it’s Graves.
I feel like it bring nothing to the team. He is annoying the first 5 min of the game as a solo laner but that’s it. His damage feels meh, he isn’t very tanky, low range and little utility with the smoke screen.
I never see him win and feels like a ward with a dash and blind.
I’m only diamond but every bard I see is basically a guaranteed loss. I hear he’s better in Proplay (although almost never picked) and Apex tiers due to teams knowing how to use his portals to more rapidly rotate/collapse on ganks.
Only 1 correct answer to this question: malphite
Why are u laning graves
Someone pasted data records at this point.
____________
Calculated X-ray powder pattern of LaPd2Pb for Cu Ka, from DFT lattice parameters and positions (GGA-PBE).

Crystal structure
```
data_LaPd2Pb
_chemical_formula_sum 'La1 Pd2 Pb1'
_symmetry_space_group_name_H-M 'P 1'
_symmetry_Int_Tables_number 1
_cell_length_a 3.6495
_cell_length_b 3.6495
_cell_length_c 6.9186
_cell_angle_alpha 90.00
_cell_angle_beta 90.00
_cell_angle_gamma 90.00
loop_
_symmetry_equiv_pos_as_xyz
'x,y,z'
loop_
_atom_site_label
_atom_site_fract_x
_atom_site_fract_y
_atom_site_fract_z
La1 0.0000 0.0000 0.0000
Pd1 0.5000 0.5000 0.2552
Pd2 0.5000 0.5000 0.7448
Pb1 0.0000 0.0000 0.5000
```

Top 12 peaks for 10 to 80 degrees two-theta, sorted by position:
d_spacing, two_theta, Rel. int., index
6.919, 12.80, 5, 0 0 1
3.650, 24.39, 6, 1 0 0
3.459, 25.75, 3, 0 0 2
2.581, 34.76, 54, 1 1 0
2.511, 35.76, 100, 1 0 2
2.068, 43.76, 3, 1 1 2
1.825, 49.98, 19, 2 0 0
1.730, 52.94, 8, 0 0 4
1.476, 62.97, 39, 2 1 2
1.437, 64.90, 18, 1 1 4
1.290, 73.38, 6, 2 2 0
1.255, 75.78, 11, 2 0 4

=====

Starting from the PBE geometry in Alexandria, the powder diffractogram of NaCaYCdF8 was simulated for Cu Kα, 1.54184 Å.
Peak positions follow from Bragg's law for the DFT cell and can differ from measured ones.

Top 10 peaks for 2θ = 10–90°, in order of falling intensity:
two_theta, intensity
28.17, 100
46.88, 56
18.06, 42
46.71, 28
55.44, 28
86.85, 15
55.75, 14
37.48, 11
75.61, 11
29.42, 10

Crystal structure
```
NaCaYCdF8
1.0
-2.7502 2.7502 5.4620
2.7502 -2.7502 5.4620
2.7502 2.7502 -5.4620
Na Ca Y Cd F
1 1 1 1 8
Direct
0.0000 0.0000 0.0000
0.7500 0.2500 0.5000
0.5000 0.5000 0.0000
0.2500 0.7500 0.5000
0.1359 0.1359 0.5205
0.1359 0.6154 0.0000
0.3846 0.3846 0.5205
0.3846 0.8641 0.0000
0.6154 0.1359 0.0000
0.6154 0.6154 0.4795
0.8641 0.3846 0.0000
0.8641 0.8641 0.4795
```

---

Starting from the PBE geometry in Alexandria, the powder diffractogram of RbCaCdF6 was simulated for Cu Kα, 1.54184 Å.
Peak positions follow from Bragg's law for the DFT cell and can differ from measured ones.

Top 10 peaks for 2θ = 10–90°, in order of falling intensity:
two_theta, intensity
26.62, 100
47.57, 61
27.74, 43
14.37, 39
27.93, 31
28.97, 31
44.08, 30
23.27, 27
27.44, 20
45.47, 20

Crystal structure
```
RbCaCdF6
1.0
-3.7772 3.9894 5.3311
3.7772 -3.9894 5.3311
3.7772 3.9894 -5.3311
Rb Ca Cd F
2 2 2 12
Direct
0.3884 0.1384 0.2500
0.6116 0.8616 0.7500
0.0000 0.0000 0.5000
0.0000 0.5000 0.0000
0.0000 0.5000 0.5000
0.5000 0.5000 0.0000
0.1151 0.8651 0.2500
0.1522 0.4022 0.7500
0.1657 0.4408 0.3259
0.1657 0.8399 0.7250
0.3851 0.1601 0.8259
0.3851 0.5592 0.2250
0.6149 0.4408 0.7750
0.6149 0.8399 0.1741
0.8343 0.1601 0.2750
0.8343 0.5592 0.6741
0.8478 0.5978 0.2500
0.8849 0.1349 0.7500
```

---

Starting from the PBE geometry in Alexandria, the powder diffractogram of SrCa2CdF8 was simulated for Cu Kα, 1.54184 Å.
Peak positions follow from Bragg's law for the DFT cell and can differ from measured ones.

Top 10 peaks for 2θ = 10–90°, in order of falling intensity:
two_theta, intensity
____________
End of the data records.
An Orianna that doesn’t snowball.
When Graves gets 6 and your botlane starts a fight. If 1 of them is low enough, he just needs to hit that R and their dead. He has a lot of nasty fucking gank potential especially under tower when diving. The smoke is so annoying bro you just don’t know, the good players know how to bounce that shit.
As much as I love her, Renata Glasc. Her kit feels like has far too much downtime where you do nothing, and what she’s able to do doesn’t feel impactful enough. She’s an ult bot, and even then, the enemy team can completely build to dampen her ultimate. She’s got a great characterization, and landing her ult is fun, but the rest of her kit just feels like you wait too long to do nothing.
Hey his smokescreen in no joke. Unironically one of the most game warping abillities especially in a chaotic teamfight
Lux. A very old mage, I do not like her feel. Oh, and I also miss everything.
Lee sin in my team.
Absolutely Bel’Veth
Whenever she’s on my team she thinks shes a farming jungler like Yi, does nothing for 10 minutes, gets picked off and falls behind because they take fights they cant win, then is made of paper lategame because no one can itemise her for shit
I main jhin and if I don’t get ahead by lvl 6 I’m useless the whole game
Graves can solo carry games so idk what youre tripping on…
Easily Nidalee unless you have a challenger Smurf on your team.
I find graves pretty good, mained him for a short while. His ganks are subpar but his clear speed is so good and after three items you’re an assassin
For me I gotta say Draven. I’ve been an ADC main most of my time in LoL and even one tricked Draven for like 2 seasons but recently whenever I play him I really don’t feel like a lane bully. Always against a double Exh Ezreal Senna who hug turret for 15 mins as my my other lanes lose and if I dare try harass under turret the jungler is there in a flash.
He’s one of those champions that other teams really build around too. I feel like 50% of my Draven games I’m against a Vi or Rammus Jungle.